Integrated approach of yoga therapy (IAYT) for Cancer Participant
Introduction Group of disease in which the cell in the body grow and divide in an uncontrolled manner to produce abnormal cell. (WHO, 2010) Cancer is characterized by: Genetic mutation Lack of cell maturation (differentiation) Loss of normal cellular function Invasive behaviour and metastasis. ( Sw.nirmalananda,2009) Have to ability to infiltrate and destroy normal cell tissue.
Cause: Mutations Cancer is caused by changes (mutations) to the DNA within cells. The DNA inside a cell is packaged into a large number of individual genes, each of which contains a set of instructions telling the cell what functions to perform, as well as how to grow and divide. Errors in the instructions can cause the cell to stop its normal function and may allow a cell to become cancerous.
What do gene mutations do? Allow rapid growth(Oncogenes) Fail to stop uncontrolled cell growth(TSG) Make mistakes when repairing DNA errors(MRG) What causes gene mutations? Gene mutations you're born with Gene mutations that occur after birth(Carcinogens)
Role of Genes OncogenesNormal growth MutationsAbnormal growth Cancer Cell Tumour Suppressor genes Mutations Recognize the abnormal cell Lost the ability to damaged abnormal growth of cell Cancer cell
Cont. Detect and correct DNA abnormality during Replication Mismatch Repair Genes MutationsFail to detection and correction Abnormal cell will be continue Cancer cell
Normal cell Unidentified cause Carcinogen Mutation of 1-Oncogene, 2-TSG, 3-MRG Birth of cancer Strong immune system Week immune system Positive mental status Healthy life style Clear environment Poor nutrition & lifestyle Advancing age Chronic stress Negative mental state Likely to be destroyLikely multiply Restoration of the healthDevelop the cancer
Misplaced materials data:
-- begin --
No. 1
Compound: CaC2O5
Source: the Materials Project database
Functional: PBE
Structure: relaxed

Lattice parameters (Å, degrees): 6.224 6.224 6.282 75.89 75.89 72.86
Atoms (fractional coordinates):
C: 0.606 0.394 0.000
O: 0.428 0.795 0.007
Ca: 0.190 0.190 0.988
Ca: 0.810 0.810 0.012
O: 0.643 0.643 0.419
O: 0.952 0.952 0.253
O: 0.048 0.048 0.747
O: 0.357 0.357 0.581
C: 0.068 0.068 0.539
O: 0.572 0.205 0.993
O: 0.205 0.572 0.993
O: 0.817 0.817 0.614
O: 0.183 0.183 0.386
C: 0.394 0.606 0.000
O: 0.795 0.428 0.007
C: 0.932 0.932 0.461

Computed properties:
Relative energy among the computed polymorphs in eV/atom: 0.000

=====

No. 2
Compound: Ca10P6CO27
Source: the Materials Project database
Functional: PBE
Structure: relaxed

Lattice parameters (Å, degrees): 6.935 9.474 9.670 118.07 89.77 90.91
Atoms (fractional coordinates):
Ca: 0.022 0.337 0.683
O: 0.546 0.098 0.398
O: 0.256 0.526 0.855
O: 0.576 0.252 0.906
O: 0.499 0.127 0.137
O: 0.764 0.469 0.147
O: 0.250 0.535 0.125
Ca: 0.990 0.678 0.320
Ca: 0.259 0.247 0.994
P: 0.760 0.596 0.627
O: 0.252 0.343 0.502
O: 0.935 0.242 0.917
O: 0.464 0.422 0.331
O: 0.178 0.580 0.454
O: 0.563 0.608 0.707
P: 0.256 0.637 0.035
O: 0.644 0.935 0.927
P: 0.253 0.971 0.598
P: 0.257 0.406 0.380
P: 0.746 0.028 0.394
Ca: 0.516 0.330 0.660
O: 0.737 0.842 0.327
Ca: 0.252 0.720 0.723
O: 0.315 0.958 0.945
Ca: 0.242 0.020 0.252
C: 0.489 0.004 0.001
O: 0.438 0.748 0.092
P: 0.761 0.357 0.967
O: 0.888 0.063 0.288
O: 0.759 0.672 0.515
O: 0.918 0.677 0.756
O: 0.076 0.747 0.089
O: 0.127 0.292 0.239
O: 0.816 0.110 0.569
O: 0.088 0.917 0.672
O: 0.216 0.897 0.417
Ca: 0.758 0.743 0.999
Ca: 0.491 0.677 0.344
Ca: 0.764 0.981 0.724
O: 0.267 0.158 0.681
O: 0.443 0.895 0.616
O: 0.803 0.412 0.537
O: 0.774 0.459 0.878
Ca: 0.764 0.284 0.268

=====

No. 3
Compound: Ca5P3CO12
Source: the Materials Project database
Functional: PBE
Structure: relaxed

Lattice parameters (Å, degrees): 9.718 9.718 6.822 90.00 90.00 120.00
Atoms (fractional coordinates):
O: 0.912 0.260 0.067
O: 0.740 0.652 0.067
O: 0.912 0.260 0.433
O: 0.874 0.462 0.250
O: 0.652 0.912 0.933
O: 0.412 0.874 0.750
P: 0.401 0.032 0.250
Ca: 0.667 0.333 0.502
Ca: 0.737 0.741 0.750
Ca: 0.333 0.667 0.498
O: 0.260 0.348 0.933
O: 0.088 0.740 0.567
Ca: 0.263 0.259 0.250
C: 0.000 0.000 0.250
Ca: 0.667 0.333 0.998
Ca: 0.004 0.263 0.750
O: 0.486 0.336 0.750
O: 0.514 0.664 0.250
Ca: 0.333 0.667 0.002
P: 0.599 0.968 0.750
O: 0.664 0.150 0.750
O: 0.462 0.588 0.750
Ca: 0.996 0.737 0.250
O: 0.150 0.486 0.250
P: 0.631 0.599 0.250
O: 0.088 0.740 0.933
O: 0.336 0.850 0.250
O: 0.126 0.538 0.750
P: 0.968 0.369 0.250
O: 0.588 0.126 0.250
O: 0.348 0.088 0.433
P: 0.369 0.401 0.750
P: 0.032 0.631 0.750
O: 0.652 0.912 0.567
O: 0.260 0.348 0.567
O: 0.850 0.514 0.750
O: 0.538 0.412 0.250
O: 0.740 0.652 0.433
O: 0.348 0.088 0.067
Ca: 0.741 0.004 0.250
C: 0.000 0.000 0.750
Ca: 0.259 0.996 0.750

=====

No. 4
Compound: CaC4S4O4
Source: the Materials Project database
Functional: PBE
Structure: relaxed
-- stop --
Here the article continues:
Gene mutations that occur after birth Carcinogens (Cancer Agent)Yogic Point of view Lifestyle related factorSuppressed Emotions Use tobacco & excessive alcohol Unhealthy diet & Physical inactivity Malnutrition Food Chemicals Plastic manufacture Vicious patterns of thinking Environment factorNegative emotions Excess sunlight (UV radiation) Pollution Guilt, Frustration Biological Factor Advancing age Pharmaceutical drugs Viruses & Bacteria:- Revenge Hepatitis B virus (HBV) & Hepatitis C virus (HCV)Sadness Environmental exposure to radiation and chemicals Among infection human papilloma virus(HPV) Injurious
Role of Yoga Provide an environment with minimum carcinogens. Minimizing our exposure to these carcinogens. We try to minimize the occurrence growth. Recurrence of cancer. Helps to boost our immune system. Releasing stress. Creating a positive and stable positive frame of mind.
Statistics In World 14.1 million new cancer cases in Cancer is a leading cause of death worldwide, accounting for 8.8 million deaths in The most common causes of cancer death are cancers of: Lung (1.69 million deaths) Liver ( deaths) Colorectal ( deaths) Stomach ( deaths) Breast ( deaths) Approximately 70% of deaths from cancer occur in low and middle income countries. (WHO,2018) (WHO,2016)
Statistics in India Estimated number of people living with the disease: around 3.6 million cases in Every year, new cancer patients registered: Over 7 lakh Cancer-related deaths: 5,56,400 Deaths in the age group between years Total: 3,95,400 (71% of all cancer related deaths) Men: 2,00,100 Women: 1,95,300 Cervical CancerBreast CancerOral Cancer New cases registered: 1,23,000 Deaths: 67,500 Median age: 38 years (age 21–67 years). New cases registered: 1,44,937 Deaths: 70,218 New cases registered: 77,003 Deaths: 52,067 (ICMR,2017)
(Attached: calculated crystals)
~~~
First-principles (PBE) data for a geometry-optimized MgTeH12O9 structure, as listed in Materials Project.

ΔE_f = -1.47 eV per atom
energy = -5.12 eV per atom
piezoelectric modulus e_max = 0.61 C/m2

Geometry as CIF:
```
data_MgTeH12O9
_space_group_name_H-M_alt 'R 3'
_space_group_IT_number 146
_space_group_name_Hall 'R 3'
_cell_length_a 9.0475
_cell_length_b 9.0475
_cell_length_c 9.0344
_cell_angle_alpha 90.00
_cell_angle_beta 90.00
_cell_angle_gamma 120.00
loop_
_atom_site_label
_atom_site_type_symbol
_atom_site_fract_x
_atom_site_fract_y
_atom_site_fract_z
Mg1 Mg 0.0000 0.0000 0.0000
Te1 Te 0.0000 0.0000 0.4683
H1 H 0.0401 0.5697 0.8390
H2 H 0.0729 0.3568 0.5490
H3 H 0.1434 0.7763 0.8256
H4 H 0.1702 0.4816 0.4152
O1 O 0.0086 0.1933 0.8568
O2 O 0.1454 0.6712 0.7982
O3 O 0.1866 0.4615 0.2375
```

=====

First-principles (PBE) data for a geometry-optimized MgTeH12O9 structure, as listed in Materials Project.

ΔE_f = -1.23 eV per atom
energy = -4.87 eV per atom

Geometry as CIF:
```
data_MgTeH12O9
_space_group_name_H-M_alt 'P 1'
_space_group_IT_number 1
_cell_length_a 4.985
_cell_length_b 7.978
_cell_length_c 8.277
_cell_angle_alpha 64.77
_cell_angle_beta 79.41
_cell_angle_gamma 80.13
loop_
_space_group_symop_operation_xyz
'x,y,z'
loop_
_atom_site_label
_atom_site_type_symbol
_atom_site_fract_x
_atom_site_fract_y
_atom_site_fract_z
Mg1 Mg 0.000 0.000 0.000
Te1 Te 0.643 0.437 0.732
H1 H 0.243 0.273 0.708
H2 H 0.260 0.776 0.869
H3 H 0.322 0.739 0.198
H4 H 0.323 0.451 0.246
H5 H 0.334 0.446 0.435
H6 H 0.474 0.922 0.158
H7 H 0.595 0.184 0.166
H8 H 0.751 0.923 0.322
H9 H 0.757 0.910 0.582
H10 H 0.765 0.007 0.510
H11 H 0.809 0.505 0.970
H12 H 0.958 0.751 0.846
O1 O 0.070 0.833 0.867
O2 O 0.258 0.524 0.319
O3 O 0.335 0.875 0.115
O4 O 0.383 0.342 0.968
O5 O 0.438 0.292 0.650
O6 O 0.513 0.326 0.119
O7 O 0.713 0.993 0.198
O8 O 0.794 0.593 0.844
O9 O 0.924 0.244 0.808
```

=====

no.,ΔE to the lowest computed polymorph (meV per atom)
1,0
2,244
~~~
Classification Carcinoma- arising from tissue called epithelial tissue. subdivided into squamous cell carcinoma, basal cell carcinoma and adino-carcinoma. Sarcoma- Arising from connective tissue such as bone, cartilage, fat, muscle etc. Other example- Blood cancer (lucomniya), Lymphatic tissue cancer(lymphoma). (Sw. Nirmalananda, 2009)
Stages Stage1- cancer is small and contained within the organ is started. Stage2- larger than stage1,but the cancer has not started to spread into the surrounding tissue. Stage3- in this stage cancer become larger. It may have started to spread into surrounding tissue and there are cancer cells in the lymph nodes in the area. Stage4- in the last stage cancer has spread from where it started to spread to another body organ. (Naim Dangoor, 2017)
Signs and Symptoms Fatigue Weight changes, loss or gain Skin changes, such as yellowing, darkening or redness Persistent cough or trouble breathing Hoarseness Persistent indigestion or discomfort after eating Persistent, unexplained muscle or joint pain Persistent, unexplained fevers or night sweats Unexplained bleeding or bruising
Diagnosis S.noCancer nameDiagnosis 1Bladder cancerCystoscopy 2Brain cancerMagnetic resonance imaging (MRI) 3Breast cancerScreening mammogram 4Cervical cancerPap test 5Colorectal cancerColonoscopy 6Oesophageal cancerEndoscopy 7Kidney cancer Computerized tomography (CT) scan or magnetic resonance imaging (MRI) 8Leukaemia cancerBiopsy 9Liver cancer Computerized tomography (CT) scan and magnetic resonance imaging (MRI) 10Lung cancerX-ray, Sputum cytology, biopsy
Diagnosis 11Melanoma cancerBiopsy 12Lymphoma cancerBiopsy 13Ovarian cancer Transvaginal ultrasound (TVUS) and the CA- 125 blood test 14Pancreatic cancer Computed tomography (CT) scans, magnetic resonance imaging (MRI), endoscopic ultrasound (EUS), endoscopic retrograde cholangiopancreatography (ERCP), laparoscopy and biopsy. 15Skin cancerSkin biopsy 16Thyroid cancer Biopsy, blood tests, ultrasound exam, radioiodine scan 17Uterine cancerPelvic examination, Pap test
Treatment Modern Medicine o Surgery (Cut) o Radiotherapy (Burn) o Chemotherapy (Poison) Palliative care Yoga Therapy Naturopathy Ayurveda Homeopathy
Introduction of IAYT Our personality is not just a physical body that we see; it is a made of 5 aspects- the Annamaya kosha, Pranamaya kosha, Manomaya kosha, Vijnanamaya kosha ans anandamaya kosha. Annamaya kosha: Diet, kriyas, exercise and asana are the techniques at the physical level. Pranamaya kosha: Breathing exercise, pranayama techniques. Manomaya kosha: Various kind of meditation such as MSRT, MEMT, Cyclic meditation, Om meditation etc. Vijnanamaya and Anandamaya kosha: Self analysis, happy assembly, Yogic counselling and karma yoga.
Cervical Cancer It’s occurs in the cells of the cervix — the lower part of the uterus that connects to the vagina. Various strains of the human papillomavirus (HPV), a sexually transmitted infection, play a role in causing most cervical cancer. o Vaginal bleeding after intercourse, between periods or after menopause. o Watery, bloody vaginal discharge that may be heavy and have a foul odor. o Pelvic pain or pain during intercourse.
Cervical Cancer : IAYT S.noIntervention ( उपचार / इलाज ) Practices ( अभ्यास ) Duration in minutes अवधि ( मिनटों में ) 01 Prayer and Nadanusandhana प्रार्थना और नादानुसंधाना 02 Warming up तैयारी / Loosening exercises ( हल्के व्यायाम ) Wrist rotation ( मणिबन्ध चक्र ) Hip Twisting ( कटि चक्र ) Knee joint movements ( जानु नमन ) 5 मिनट 03Relaxation Technique शिथिलीकरण तकनीक Instant Relaxation Technique तत्काल आराम तकनीक 2 मिनट 04Breathing exercises श्वासनीय अभ्यास Sectional breathing विभागीय श्वासन Yogic breathing योगिक श्वासन Hand in and out breathing सांस लेने समय हाथ अंदर और बाहर Tiger breathing टाईगर श्वासन 8 मिनट
Cervical Cancer : IAYT 05 Asanas आसन ( विभिन्न संयोजन ) Ardhakathi chakrasana अर्धकटि चक्रासन Ardha chakrasana अर्ध चक्रासन Padahasthana पादहस्तासन Butterfly stretch तितलीआसन Ardha Paschimothanasana अर्धपश्चिमोत्तानासन Uttana paadasana उत्तान पादासन Ardha Pavana Muktasana अर्ध पवन मुक्तासन Muktasana मुक्तासन Supta udarakarshanasana सुप्त उदराकर्षणासन Makarasana मकरासन Bhujangasana भुजंगासन 15 मिनट 06Relaxation Technique शिथिलीकरण तकनीक Quick relaxation technique शीघ्र विश्राम तकनीक 5 मिनट 07Pranayama प्राणायाम Cooling pranayama-: Shitali शीतली, Seetkari शीतकारी, sadanta सदंता Nadishodhana नाड़ीशोधन Bhramari भ्रामरी 10 मिनट 08Other अन्य Yogic counseling योगिक परामर्श Or MSRT एम. एस. आर. टी / cyclic meditation आवर्तन ध्यान 20 मिनट 09 Closing prayer with nadanusandhana प्रार्थना और नादानुसंधाना
Breast Cancer It’s that forms in the cells of the breasts, it’s most common after skin cancer. Symptoms for the most common breast cancers include: Breast pain, Redness, Pitted skin, Swelling, Nipple discharge other than breast milk. Bloody discharge, Peeling, Scaling or Flaking of skin on your nipple or breast. A sudden, unexplained change in the shape or size of your breast.
Breast Cancer : IAYT Intervention ( उपचार / इलाज ) Practices ( अभ्यास ) Duration in minutes अवधि ( मिनटों में ) 01 Prayer and Nadanusandhana प्रार्थना और नादानुसंधाना 02 Warming up तैयारी / Loosening exercises ( हल्के व्यायाम ) Neck movements ( ग्रीवा चक्रण ) {forward ( आगे ), Backward( पीछे ), rotation( घूर्णन ), sideward bending ( दाहिने और बायें )} Shoulder movements स्कंध चक्रण ( forward आगे & backward पीछे ) Wrist मणिबन्ध ( rotation घूर्णन, assisted stretching खिंचाव and finger movements अंगुली शक्ति ) Elbow कोहनी ( flexion मोड़ना & extension फैलाव, pronation औंधी स्थिति & supination अवपंचन ) Waist कटि चक्र ( rotation चक्रण, bending si- deways( दाहिने और बायें ) Leg पाद चक्र (knee rotation जानु चक्र, flexion मोड़ कर & extension फैला कर, Aankle joint movements गुल्फ चक्रण एवं घूर्णन ) 5 मिनट 03Relaxation Technique शिथिलीकरण तकनीक Instant Relaxation Technique तत्काल आराम तकनीक 2 मिनट 04Breathing exercises श्वासनीय व्यायाम Hand stretch breathing हाथ खिंचकर सांस लेना Hand in and out breathing सांस लेने समय हाथ अंदर और बाहर Sectional breathing विभागीय श्वासन 3 मिनट
Breast Cancer : IAYT 05Asanas आसन Ardhakathi chakrasana अर्ध कटि चक्रासन Ardha chakrasana अर्ध चक्रासन Pavana mukthsana पवन मुक्तासन Sethubhadhasana सेतु बंधासन Vakrasana वक्रासन Shavasana शवासन 15 मिनट 06Relaxation Technique शिथिलीकरण तकनीक Quick relaxation technique शीघ्र विश्राम तकनीक 5 मिनट 07Pranayama प्राणायाम Yogic Breathing योगिक श्वासन Nadishodhana नाड़ीशोधन Bhramari भ्रामरी Sheetali शीतली Sheetkari शीतकारी 10 मिनट 08Other अन्य Yogic counseling योगिक परामर्श MSRT एम. एस. आर. टी Cyclic meditation आवर्तन ध्यान ( excluding other practices अन्य अभ्यासों को छोड़कर ) alternate days एक छोड़कर दिन 20 मिनट 09 Closing prayer with nadanusandhana प्रार्थना और नादानुसंधाना
Head and Neck (Oral) Cancer It is usually begin in the squamous cells that line the moist, mucosal surfaces inside the head and neck. Cancers of the head and neck are further categorized by the area are described below: o Oral cavity, Pharynx, Larynx, Paranasal sinuses and nasal cavity, Salivary glands. Head and neck cancers are also diagnosed more often among people over age 50 than they are among younger people. Researchers estimated that more than 65,000 men and women in this country would be diagnosed with head and neck cancers in 2017.
Head and Neck Cancer : IAYT S.noIntervention ( उपचार / इलाज ) Practices ( अभ्यास ) Duration in minutes अवधि ( मिनटों में ) 01 Prayer and Nadanusandhana प्रार्थना और नादानुसंधाना 02Graded Warming up श्रेणीबद्ध तैयारी / Loosening exercises ( हल्के व्यायाम ) Jaw exercises ( जबड़ा के व्यायाम ) Neck exercises ( ग्रीवा चक्र ) Shoulder exercises with stretching स्कंध चक्र ( खिचाव के साथ ) Arm rotation and loosening exercises ( हाथ चक्र के व्यायाम ) Sideward bending ( किनारे झुकने ) 8 मिनट 03Relaxation Technique शिथिलीकरण तकनीक Instant Relaxation Technique तत्काल आराम तकनीक 3 मिनट 04Breathing exercises श्वासनीय अभ्यास Sectional breathing with awareness सजगता के साथ विभागीय श्वासन Yogic breathing योगिक श्वासन Hand in and out breathing सांस लेने समय हाथ अंदर और बाहर Hand stretch breathing हाथ खिंचकर सांस लेना Ankle stretch breathing टखने खिंचकर सांस लेना 8 मिनट
Head and Neck Cancer : IAYT 05Asanas आसन Kathi chakrasana कटि चक्रासन Ardhakathi chakrasana अर्धक्टि चक्रासन Vakrasana वक्रासन Gomukhasana गोमुखासन Pavana mukthsana पवन मुक्तासन Sethubhadhasana सेतुबन्धासन 8 मिनट 06Relaxation Technique शिथिलीकरण तकनीक Quick relaxation technique शीघ्र विश्राम तकनीक 5 मिनट 07Pranayama प्राणायाम Cooling pranayama-: Sadanta सदन्ता Ujjayi उज्यायी Nadishodhana नाड़ीशोधन Bhramari भ्रामरी 8 मिनट 08Other अन्य Yogic counseling योगिक परामर्श Or MSRT एम. एस. आर. टी / cyclic meditation आवर्तन ध्यान 20 मिनट 09 Closing prayer with nadanusandhana प्रार्थना और नादानुसंधाना